| Allegations against Former Music Teacher Wiliam Jackson Serve As Reminder, Experts Say
By Ivey Dejesus
The Patriot-News
September 20, 2012
William Jackson
Reports that a member of a church community has been charged with sexually molesting boys who were under his charge raise troubling scenarios for child sexual abuse experts.
Authorities allege that William Jackson, 57, a former music teacher at Bible Baptist Church in Shiremanstown, began molesting boys in his music class two years ago, court documents state.
Sean McCormack, chief deputy district attorney and head of the child-abuse unit in Dauphin County, said child predators usually get away with their crimes for a longer period of time than law enforcement initially suspects.
“It doesn’t surprise me when we begin investigating a case to find out that somebody has abused someone else in the past,” he said. “The statistics show that when someone gets caught, they’ve usually had X number of other victims prior to getting caught.”
Moreover, after decades of media scrutiny of the clergy child sex abuse scandal in the Roman Catholic Church, the case serves as a potential reminder that child predators know no religious — or secular — boundaries.
On Wednesday, Jackson was charged with sexually assaulting seven boys, ages 8 to 18.
McCormack said that not every child abuser is a pedophile, the latter referring to a psychological disorder that predisposes a person to be sexually attracted to children.
“You have people that are abusers of opportunity. Maybe it’s a family member,” McCormack said. “Sometimes they gravitate to an occupation that puts them in contact with children.”
McCormack said child predators are typically manipulators who work a situation to their advantage to take advantage of a child.
“I’ve seen cases of people who are in drama classes and have kids talk about their problems, and the teacher would use that to identify vulnerable kids, then move in on the vulnerable kids,” he said.
Police said the younger boys, who were taking piano lessons from Jackson in the school’s music room, told them Jackson would fondle them underneath their clothes.
But whether a predator molests a child underneath clothes or over clothes is immaterial, said David Clohessy, the national director of the Survival Network of those Abused by Priests.
“Whether you are robbed at gunpoint or knifepoint, is it relevant? It’s the violation and the fear that is the most damaging,” he said. “The same is true with child sex abuse. It’s the act of being treated like an object and selfishly being used for some adult self-sexual gratification that causes harm. Whether it’s above or below the waist or there is clothing or not or whether there is actual penetration.”
_These calculated crystals were left in the entry by mistake_
- - -
No. 1
Computed X-ray diffraction stick pattern
Compound: SrTb4NdSe8
Radiation: Cu Kα (weighted mean of Kα1 and Kα2)
Structure: DFT lattice parameters and positions (GGA-PBE)

Top 12 peaks for 10° ≤ 2θ ≤ 90°, sorted by position:
2θ/deg, I/Imax
12.63, 23.3
20.57, 16.9
24.14, 31.5
24.30, 100.0
29.36, 92.8
38.32, 23.1
38.49, 53.5
41.84, 75.4
42.17, 76.2
52.22, 17.2
60.92, 23.6
76.87, 23.1

Lattice parameters (Å, degrees): 8.5707 8.5707 21.2349 90.00 90.00 120.00
Space group R3m (No. 160, hexagonal axes)
Inequivalent atoms, fractional coordinates:
Sr: 0.0000 0.0000 0.0000 x3
Tb: 0.0000 0.0000 0.7479 x3
Tb: 0.0046 0.5023 0.8741 x9
Nd: 0.0000 0.0000 0.3715 x3
Se: 0.0000 0.0000 0.1373 x3
Se: 0.0000 0.0000 0.6156 x3
Se: 0.0154 0.5077 0.1281 x9
Se: 0.1820 0.3640 0.9497 x9

=====

No. 2
Computed X-ray diffraction stick pattern
Compound: NdY2Rh4
Radiation: Cu Kα (weighted mean of Kα1 and Kα2)
Structure: DFT lattice parameters and positions (GGA-PBE)

Top 12 peaks for 10° ≤ 2θ ≤ 90°, sorted by position:
2θ/deg, I/Imax
13.11, 8.5
18.77, 11.1
29.83, 9.8
32.59, 5.7
37.88, 100.0
38.08, 49.7
54.35, 8.4
54.95, 16.8
68.28, 16.7
68.68, 33.6
80.96, 10.3
81.45, 5.3

Lattice parameters (Å, degrees): 4.7264 4.7264 6.7524 90.00 90.00 90.00
Space group P4/mmm (No. 123)
Inequivalent atoms, fractional coordinates:
Nd: 0.0000 0.0000 0.0000 x1
Y: 0.0000 0.0000 0.5000 x1
Y: 0.5000 0.5000 0.0000 x1
Rh: 0.0000 0.5000 0.2594 x4

=====

No. 3
Computed X-ray diffraction stick pattern
Compound: AcHg2Pb2
Radiation: Cu Kα (weighted mean of Kα1 and Kα2)
Structure: DFT lattice parameters and positions (GGA-PBE)

Top 12 peaks for 10° ≤ 2θ ≤ 90°, sorted by position:
2θ/deg, I/Imax
31.08, 50.8
31.29, 100.0
33.13, 44.5
33.40, 87.1
46.06, 35.2
46.78, 16.9
54.04, 20.2
58.08, 35.8
58.52, 17.5
59.35, 17.3
65.28, 11.6
70.17, 11.2

Lattice parameters (Å, degrees): 9.2691 5.4084 6.7620 90.00 116.43 90.00
Space group C2/m (No. 12)
Inequivalent atoms, fractional coordinates:
Ac: 0.0000 0.0000 0.0000 x2
Hg: 0.0910 0.5000 0.7735 x4
Pb: 0.2017 0.0000 0.6042 x4

=====

No. 4
Computed X-ray diffraction stick pattern
Compound: CeCo2Si2Os
Radiation: Cu Kα (weighted mean of Kα1 and Kα2)
Structure: DFT lattice parameters and positions (GGA-PBE)

Top 12 peaks for 10° ≤ 2θ ≤ 90°, sorted by position:
2θ/deg, I/Imax
17.11, 13.8
19.40, 59.4
27.58, 100.0
39.39, 64.6
39.98, 97.2
44.27, 15.0
53.43, 14.5
56.94, 22.5
57.38, 66.4
64.41, 17.9
71.83, 16.7
85.15, 21.5

Lattice parameters (Å, degrees): 4.5746 4.5746 5.1833 90.00 90.00 90.00
Space group P4/mmm (No. 123)
Inequivalent atoms, fractional coordinates:
Ce: 0.0000 0.0000 0.0000 x1
Co: 0.5000 0.5000 0.2607 x2
Si: 0.0000 0.5000 0.5000 x2
Os: 0.0000 0.0000 0.5000 x1

=====

No. 5
Computed X-ray diffraction stick pattern
Compound: Ge6OsRh3
Radiation: Cu Kα (weighted mean of Kα1 and Kα2)
Structure: DFT lattice parameters and positions (GGA-PBE)

Top 12 peaks for 10° ≤ 2θ ≤ 90°, sorted by position:
2θ/deg, I/Imax
22.37, 18.2
29.33, 52.6
32.48, 26.5
33.53, 17.8
- - -
Clohessy said the allegations in this case serve as a reminder that abuse can happen across the faith spectrum and is not contained to the much-scrutinized scandal in the Catholic Church.
“Predators always have and always will seek out positions of access to kids and power over kids,” he said. “Schools, camps, therapy, churches, scouting programs.”
He said SNAP worries more about children in Protestant denominations than those in Catholic parishes because the former churches tend to be more decentralized.
Still, authorities these days have the benefit of harsher penalties.
In the last few years, the Legislature has broadened the definition of various indecent aggravated-assault crimes and increased the corresponding penalties.